Personal Data
This information is automatically pulled onto the website from campus HR databases.
- Update your preferred name
- Update your degree: contact your HR business partner (the system includes academic degrees at the master's level and above, not undergraduate degrees and professional credentials)
- Update your division, title and contact information: contact your HR business partner
Bio Narrative
**Attached: calculated crystals:**
First-principles (GGA-PBE) data for crystalline CsKBa at its relaxed geometry, as listed in Alexandria.

## Properties
Space group: No. 107
E in Ry per atom: -0.087
V in Å³/atom: 79.452
Energy of formation from the pure elements in eV/atom: 0.112
Total magnetic moment in μB per atom: 0.000

a = 4.568 Å, b = 4.568 Å, c = 11.872 Å
α = 101.09°, β = 101.09°, γ = 90.00°
Fractional coordinates of all 3 atoms:
K 0.658 0.658 0.316
Cs 0.334 0.334 0.668
Ba 0.008 0.008 0.016

First-principles (GGA-PBE) data for crystalline AlCu3Au at its relaxed geometry, as listed in Alexandria.

## Properties
Space group: No. 221
E in Ry per atom: -0.234
V in Å³/atom: 17.366
Energy of formation from the pure elements in eV/atom: 0.683
Total magnetic moment in μB per atom: 0.000

a = 4.428 Å, b = 4.428 Å, c = 4.428 Å
α = 90.00°, β = 90.00°, γ = 90.00°
Fractional coordinates of all 5 atoms:
Cu 0.000 0.500 0.000
Cu 0.500 0.000 0.000
Cu 0.000 0.000 0.500
Al 0.000 0.000 0.000
Au 0.500 0.500 0.500

First-principles (GGA-PBE) data for crystalline KRb4Mn3Br12 at its relaxed geometry, as listed in Alexandria.

## Properties
Space group: No. 229
E in Ry per atom: -0.283
V in Å³/atom: 33.873
Formation energy (no corrections) in meV/atom: -1226
Total magnetic moment in μB per atom: 0.700

a = 9.583 Å, b = 9.583 Å, c = 9.583 Å
α = 109.47°, β = 109.47°, γ = 109.47°
Fractional coordinates of all 20 atoms:
Br 0.250 0.750 0.500
Br 0.724 0.724 0.000
Br 0.500 0.750 0.250
Br 0.276 0.000 0.276
Br 0.750 0.250 0.500
Br 0.000 0.276 0.276
Br 0.276 0.276 0.000
Br 0.750 0.500 0.250
Br 0.500 0.250 0.750
Br 0.250 0.500 0.750
Br 0.724 0.000 0.724
Br 0.000 0.724 0.724
Rb 0.500 0.000 0.000
Rb 0.500 0.500 0.500
Rb 0.000 0.500 0.000
Rb 0.000 0.000 0.500
Mn 0.500 0.500 0.000
Mn 0.500 0.000 0.500
Mn 0.000 0.500 0.500
K 0.000 0.000 0.000

First-principles (GGA-PBE) data for crystalline PmThAlPd at its relaxed geometry, as listed in Alexandria.

## Properties
Space group: No. 216
E in Ry per atom: -0.417
V in Å³/atom: 24.961
Energy of formation from the pure elements in eV/atom: -0.393
Total magnetic moment in μB per atom: 0.105

a = 5.207 Å, b = 5.207 Å, c = 5.207 Å
α = 60.00°, β = 60.00°, γ = 60.00°
Fractional coordinates of all 4 atoms:
Al 0.500 0.500 0.500
Th 0.250 0.250 0.250
Pm 0.750 0.750 0.750
Pd 0.000 0.000 0.000

First-principles (GGA-PBE) data for crystalline Si2RuPt at its relaxed geometry, as listed in Alexandria.

## Properties
Space group: No. 122
E in Ry per atom: -0.488
V in Å³/atom: 19.327
Formation energy (no corrections) in meV/atom: -105
Total magnetic moment in μB per atom: 0.000

a = 5.415 Å, b = 5.415 Å, c = 6.517 Å
α = 65.45°, β = 65.45°, γ = 90.00°
Fractional coordinates of all 8 atoms:
Pt 0.750 0.250 0.500
Pt 0.000 0.000 0.000
Ru 0.500 0.500 0.000
Ru 0.250 0.750 0.500
Si 0.618 0.125 0.250
Si 0.875 0.868 0.750
Si 0.375 0.382 0.750
Si 0.132 0.625 0.250

First-principles (GGA-PBE) data for crystalline CrSiAs2Se at its relaxed geometry, as listed in Alexandria.

## Properties
- Submit bio updates. Do this ASAP after you start, and each year before your annual review.
See Headshots section below.
Division Content
Landing Page
- Division chief or administrator reviews each year or when changes occur.
- Request updates with this form.
Our People Pages
- Division chief or administrator reviews main Our People page each year or when changes occur. Page includes the division chief, section chiefs, APP supervisor, division administrator and executive assistant only.
- Request updates with this form.
- Subpages with faculty and APP lists are automatically generated from HR data.
Work With Us Page
- Division chief or administrator reviews each year or when changes occur.
- Coordinate with your faculty recruiter first and request updates with this form.
Distinctive Clinical Programs Page
- Division chief or administrator reviews annually.
- Identify brief highlights of your top 3-5 clinical programs. Include text, photos, and links to UW Health program pages.
- Request updates with this form.
More about Patient and Referring Physician Marketing
During the session, you'll be able to choose and approve your headshot in real time. If requested, we can edit, export and send you the final image for personal use before you leave.
We will upload your headshot to the website with others in a batch process every one to two weeks.
We follow institutional branding for all headshots and cannot accept selfies. If you work fully remotely outside the region, follow these headshot standards to self-submit an official photo for approval.
Plan on getting a new headshot at least every five years.
Fellowship Content
Fellowship director and manager reviews all content between March and July of each year.
Follow the Box checklist we provide for needed text, photo and video updates.
Lab and Research Program Content
New PIs
Contact the Comms team before you start.
Please do not create lab websites using external web hosts or site builders. These sites do not meet campus or department branding and accessibility guidelines.
- Have currently funded research (as a PI, co-I or part of team science) or be successful in philanthropy
- Not currently funded, but between grants or has actively been applying in the past 3 years
- Not currently funded, but building career and has a clear, defined business purpose for the page
- A structured page on the DOM website. First step for all PIs. Fill out this lab page template and return to the Comms team.
- A standalone site through the campus WiscWeb service. We will guide you through the setup, though you are responsible for all maintenance. Also fill out this shortened lab page template, so we can include a page and link out on the DOM site.
Existing PIs
- Principal investigator reviews content annually.
- Identify text and photo updates, keeping the existing page structure, and request updates with this form.
Photos and Videos
Review photos and videos annually or when changes occur.
Follow the guidance on our Photography or Videography pages. Then schedule a production meeting to discuss plans and schedule shoots.
Residency Content
Current residents: Update in the web system on July 1.
Faculty, chiefs and staff: Request updates with this form before July 1.
Graduate success: Update placement documents in Box before July 1.
Scholarly activity: Update documents in Box twice per year.
All other updates: Coordinate with program director first and then request updates with this form.